Exercise:
What is needed: give back everything below without altering anything.

Material:
+++
Below is C43H89GaN3O4 as an isolated structure, with properties calculated with ωB97M-V/def2-TZVPD.

Its total charge is -1. For the LUMO energy (alpha / beta), the calculation gives 1.84 / 1.71 eV. The calculation puts the total energy at -111068.5326 eV. For the HOMO energy (alpha / beta), the calculation gives -4.70 / -4.70 eV. The spin multiplicity is 3. As for the energy above the lowest of the compared OMol25 structures with the same formula, charge and spin: 0.00 kcal per mole.

Element x y z (Å)
C1 3.9157 -2.7264 1.5354
C2 4.5848 -2.3924 0.2012
C3 5.8753 -1.5893 0.3707
C4 6.4245 -1.0094 -0.9499
C5 6.6175 0.5038 -0.8717
C6 5.2802 1.2582 -0.7296
C7 5.2607 2.2732 0.4094
C8 3.8930 2.9457 0.5761
C9 3.0674 2.3336 1.7100
C10 1.5869 2.7293 1.6633
C11 0.7125 1.7974 0.8071
C12 -0.7170 1.5681 1.3435
C13 -1.8036 2.4166 0.6820
Ga1 -3.7322 1.9655 1.1988
C14 -4.8803 3.6657 1.0746
C15 -5.0354 4.3496 -0.2887
N1 -3.8829 4.3060 -1.1910
C16 -3.9014 1.3567 3.1559
C17 -3.1690 0.0787 3.5716
C18 -3.7773 -1.2293 3.0557
C19 -5.2237 -1.4763 3.4825
C20 -5.9591 -2.6076 2.7312
C21 -5.0900 -3.6907 2.0989
C22 -5.9399 -4.7877 1.4547
C23 -4.4529 0.4384 0.0126
C24 -4.9697 0.8087 -1.3644
O1 -3.9306 0.5141 -2.3622
C25 -4.4065 0.3005 -3.5697
O2 -3.9942 -0.5446 -4.3095
H1 4.0847 -1.9396 2.2719
H2 2.8406 -2.8751 1.4250
H3 4.3302 -3.6452 1.9544
H4 4.8188 -3.3230 -0.3258
H5 3.8970 -1.8410 -0.4459
H6 5.6999 -0.7881 1.0937
H7 6.6294 -2.2528 0.8043
H8 7.3747 -1.4905 -1.1983
H9 5.7355 -1.2568 -1.7643
H10 7.1659 0.8686 -1.7432
H11 7.2329 0.7192 0.0085
H12 4.4819 0.5285 -0.5607
H13 5.0442 1.7696 -1.6670
H14 6.0593 3.0034 0.2519
H15 5.4948 1.7359 1.3357
H16 3.9845 4.0244 0.7263
H17 3.3159 2.8090 -0.3457
H18 3.5098 2.6074 2.6727
H19 3.1457 1.2442 1.6100
H20 1.5384 3.7417 1.2451
H21 1.1836 2.8040 2.6754
H22 0.6462 2.1900 -0.2115
H23 1.2252 0.8308 0.7281
H24 -0.9527 0.5019 1.2630
H25 -0.7087 1.7875 2.4179
H26 -1.6866 2.3405 -0.4070
H27 -1.6320 3.4695 0.9470
H28 -4.4379 4.3761 1.7852
H29 -5.8793 3.4374 1.4692
H30 -5.8847 3.9124 -0.8240
H31 -5.2872 5.4109 -0.1647
H32 -3.7155 3.3704 -1.5339
H33 -3.0480 4.6223 -0.7183
H34 -4.9760 1.2577 3.3410
H35 -3.5676 2.1863 3.7897
H36 -3.1270 -0.0040 4.6711
H37 -2.1284 0.1026 3.2408
H38 -3.1743 -2.0513 3.4622
H39 -3.6678 -1.2965 1.9698
H40 -5.2092 -1.7441 4.5450
H41 -5.8058 -0.5617 3.3833
H42 -6.6034 -2.1836 1.9546
H43 -6.6173 -3.1139 3.4467
H44 -4.4331 -4.1368 2.8503
H45 -4.4604 -3.2475 1.3244
H46 -5.3700 -5.6983 1.2693
H47 -6.7886 -5.0401 2.0978
H48 -6.3596 -4.4401 0.5075
H49 -3.6315 -0.2721 -0.1276
H50 -5.2310 -0.1121 0.5506
H51 -5.8603 0.2290 -1.6315
H52 -5.2352 1.8647 -1.4661
H53 -5.2042 0.9958 -3.8733
C26 6.7658 -1.1912 7.3787
C27 5.9715 -2.2234 6.5391
C28 5.7411 -3.5304 7.3113
C29 6.9603 -4.4441 7.4031
C30 7.5407 -4.6971 6.0144
C31 7.8863 -3.4023 5.2795
N2 6.6706 -2.5228 5.2473
O3 5.8579 -2.8600 4.3157
C32 9.0861 -2.7252 5.9565
C33 8.2918 -3.6969 3.8414
C34 4.6144 -1.6070 6.2206
H54 7.7253 -0.9420 6.9395
H55 6.2139 -0.2542 7.4440
H56 6.9431 -1.5436 8.3959
H57 4.9348 -4.0825 6.8190
H58 5.3794 -3.2740 8.3092
H59 7.7158 -4.0157 8.0679
H60 6.6634 -5.3937 7.8523
H61 8.4419 -5.3121 6.0768
H62 6.8126 -5.2584 5.4210
H63 9.2946 -1.7588 5.4955
H64 9.9638 -3.3583 5.8223
H65 8.9610 -2.5765 7.0255
H66 7.5324 -4.2697 3.3155
H67 9.2175 -4.2740 3.8491
H68 8.4640 -2.7724 3.2891
H69 4.7238 -0.7316 5.5802
H70 4.1549 -1.2947 7.1597
H71 3.9484 -2.3089 5.7260
C35 -6.8700 0.9931 -8.0969
C36 -6.2151 2.3607 -8.4166
C37 -5.8152 2.4737 -9.8953
C38 -4.5510 1.7073 -10.2772
C39 -3.4009 2.0737 -9.3417
C40 -3.7509 1.8463 -7.8709
N3 -5.0125 2.5974 -7.5583
O4 -4.7998 3.8426 -7.3400
C41 -3.8723 0.3430 -7.5906
C42 -2.6457 2.3804 -6.9703
C43 -7.2465 3.4412 -8.1148
H72 -6.2944 0.4097 -7.3876
H73 -7.8488 1.1408 -7.6410
H74 -7.0092 0.3885 -8.9945
H75 -5.6578 3.5317 -10.1279
H76 -6.6614 2.1426 -10.5019
H77 -4.7341 0.6296 -10.2600
H78 -4.2794 1.9542 -11.3060
H79 -2.5092 1.4890 -9.5787
H80 -3.1410 3.1268 -9.4900
H81 -4.2027 0.1533 -6.5696
H82 -2.8918 -0.1197 -7.7066
+++

Written answer:
Below is C43H89GaN3O4 as an isolated structure, with properties calculated with ωB97M-V/def2-TZVPD.

Its total charge is -1. For the LUMO energy (alpha / beta), the calculation gives 1.84 / 1.71 eV. The calculation puts the total energy at -111068.5326 eV. For the HOMO energy (alpha / beta), the calculation gives -4.70 / -4.70 eV. The spin multiplicity is 3. As for the energy above the lowest of the compared OMol25 structures with the same formula, charge and spin: 0.00 kcal per mole.

Element x y z (Å)
C1 3.9157 -2.7264 1.5354
C2 4.5848 -2.3924 0.2012
C3 5.8753 -1.5893 0.3707
C4 6.4245 -1.0094 -0.9499
C5 6.6175 0.5038 -0.8717
C6 5.2802 1.2582 -0.7296
C7 5.2607 2.2732 0.4094
C8 3.8930 2.9457 0.5761
C9 3.0674 2.3336 1.7100
C10 1.5869 2.7293 1.6633
C11 0.7125 1.7974 0.8071
C12 -0.7170 1.5681 1.3435
C13 -1.8036 2.4166 0.6820
Ga1 -3.7322 1.9655 1.1988
C14 -4.8803 3.6657 1.0746
C15 -5.0354 4.3496 -0.2887
N1 -3.8829 4.3060 -1.1910
C16 -3.9014 1.3567 3.1559
C17 -3.1690 0.0787 3.5716
C18 -3.7773 -1.2293 3.0557
C19 -5.2237 -1.4763 3.4825
C20 -5.9591 -2.6076 2.7312
C21 -5.0900 -3.6907 2.0989
C22 -5.9399 -4.7877 1.4547
C23 -4.4529 0.4384 0.0126
C24 -4.9697 0.8087 -1.3644
O1 -3.9306 0.5141 -2.3622
C25 -4.4065 0.3005 -3.5697
O2 -3.9942 -0.5446 -4.3095
H1 4.0847 -1.9396 2.2719
H2 2.8406 -2.8751 1.4250
H3 4.3302 -3.6452 1.9544
H4 4.8188 -3.3230 -0.3258
H5 3.8970 -1.8410 -0.4459
H6 5.6999 -0.7881 1.0937
H7 6.6294 -2.2528 0.8043
H8 7.3747 -1.4905 -1.1983
H9 5.7355 -1.2568 -1.7643
H10 7.1659 0.8686 -1.7432
H11 7.2329 0.7192 0.0085
H12 4.4819 0.5285 -0.5607
H13 5.0442 1.7696 -1.6670
H14 6.0593 3.0034 0.2519
H15 5.4948 1.7359 1.3357
H16 3.9845 4.0244 0.7263
H17 3.3159 2.8090 -0.3457
H18 3.5098 2.6074 2.6727
H19 3.1457 1.2442 1.6100
H20 1.5384 3.7417 1.2451
H21 1.1836 2.8040 2.6754
H22 0.6462 2.1900 -0.2115
H23 1.2252 0.8308 0.7281
H24 -0.9527 0.5019 1.2630
H25 -0.7087 1.7875 2.4179
H26 -1.6866 2.3405 -0.4070
H27 -1.6320 3.4695 0.9470
H28 -4.4379 4.3761 1.7852
H29 -5.8793 3.4374 1.4692
H30 -5.8847 3.9124 -0.8240
H31 -5.2872 5.4109 -0.1647
H32 -3.7155 3.3704 -1.5339
H33 -3.0480 4.6223 -0.7183
H34 -4.9760 1.2577 3.3410
H35 -3.5676 2.1863 3.7897
H36 -3.1270 -0.0040 4.6711
H37 -2.1284 0.1026 3.2408
H38 -3.1743 -2.0513 3.4622
H39 -3.6678 -1.2965 1.9698
H40 -5.2092 -1.7441 4.5450
H41 -5.8058 -0.5617 3.3833
H42 -6.6034 -2.1836 1.9546
H43 -6.6173 -3.1139 3.4467
H44 -4.4331 -4.1368 2.8503
H45 -4.4604 -3.2475 1.3244
H46 -5.3700 -5.6983 1.2693
H47 -6.7886 -5.0401 2.0978
H48 -6.3596 -4.4401 0.5075
H49 -3.6315 -0.2721 -0.1276
H50 -5.2310 -0.1121 0.5506
H51 -5.8603 0.2290 -1.6315
H52 -5.2352 1.8647 -1.4661
H53 -5.2042 0.9958 -3.8733
C26 6.7658 -1.1912 7.3787
C27 5.9715 -2.2234 6.5391
C28 5.7411 -3.5304 7.3113
C29 6.9603 -4.4441 7.4031
C30 7.5407 -4.6971 6.0144
C31 7.8863 -3.4023 5.2795
N2 6.6706 -2.5228 5.2473
O3 5.8579 -2.8600 4.3157
C32 9.0861 -2.7252 5.9565
C33 8.2918 -3.6969 3.8414
C34 4.6144 -1.6070 6.2206
H54 7.7253 -0.9420 6.9395
H55 6.2139 -0.2542 7.4440
H56 6.9431 -1.5436 8.3959
H57 4.9348 -4.0825 6.8190
H58 5.3794 -3.2740 8.3092
H59 7.7158 -4.0157 8.0679
H60 6.6634 -5.3937 7.8523
H61 8.4419 -5.3121 6.0768
H62 6.8126 -5.2584 5.4210
H63 9.2946 -1.7588 5.4955
H64 9.9638 -3.3583 5.8223
H65 8.9610 -2.5765 7.0255
H66 7.5324 -4.2697 3.3155
H67 9.2175 -4.2740 3.8491
H68 8.4640 -2.7724 3.2891
H69 4.7238 -0.7316 5.5802
H70 4.1549 -1.2947 7.1597
H71 3.9484 -2.3089 5.7260
C35 -6.8700 0.9931 -8.0969
C36 -6.2151 2.3607 -8.4166
C37 -5.8152 2.4737 -9.8953
C38 -4.5510 1.7073 -10.2772
C39 -3.4009 2.0737 -9.3417
C40 -3.7509 1.8463 -7.8709
N3 -5.0125 2.5974 -7.5583
O4 -4.7998 3.8426 -7.3400
C41 -3.8723 0.3430 -7.5906
C42 -2.6457 2.3804 -6.9703
C43 -7.2465 3.4412 -8.1148
H72 -6.2944 0.4097 -7.3876
H73 -7.8488 1.1408 -7.6410
H74 -7.0092 0.3885 -8.9945
H75 -5.6578 3.5317 -10.1279
H76 -6.6614 2.1426 -10.5019
H77 -4.7341 0.6296 -10.2600
H78 -4.2794 1.9542 -11.3060
H79 -2.5092 1.4890 -9.5787
H80 -3.1410 3.1268 -9.4900
H81 -4.2027 0.1533 -6.5696
H82 -2.8918 -0.1197 -7.7066